Civic Education in Palestine Citizenship, Human Rights, and Community Development

In a set of three seminars, the PASSIA civic education project sought to develop and em¬power groups of young Palestinian professionals to deal more effectively with the tasks ahead by enhancing their civic knowledge, skills and norms. Local and foreign experts in the field imparted basics such as the meaning of constitutional democracy, types of government, features of the political system, and the ability to identify public issues and influence public policy decisions. In addition, each seminar focused on a specific issue: one on Citizenship, one on Human Rights, and one on Community Development. This publication contains a selection of the lectures and presentations given during those three seminars, as well as an outline of the lecture programs and a selected bibliography.

April 1, 2006


In 2005, PASSIA embarked on this new project feeling that it is imperative at the current critical stage in Palestinian history that people who are and will be shaping their future are equipped with relevant knowledge and experience. The leaders of tomor­row lay today the basis of civic life in the anticipated state and promote the practice of a rule-of-law regime; yet, it is evident that there is a huge lack of the basics of civics among Palestini­ans, including appropriate understandings of constitutional principles (rule of law, separation of powers, individual free­doms and rights), concepts and purposes of citizenship and governments, and political and legal processes created to make decisions, seek consensus, and resolve conflicts in a free soci­ety, and so on.

For a democracy to survive and flourish, its citizens must know about the basic features of a democratic political system to be able to access it when their interests are at stake, and they must believe in the importance of certain key democratic values, such as tolerance for divergent viewpoints and support for the rule of law. They must also be willing and able to participate in local and national politics, and they must believe that their participa­tion is important to the continued viability of the democratic political system.

In countries emerging from authoritarian rule, citizens often lack democratic experience, especially with regard to knowl­edge about formal democratic structures and processes and thus about the opportunities that exist for advancing their interests. Another common aspect in transitioning countries is that citi­zens experience difficulty adjusting to the competition, com­promise, and loss that are inherent parts of the democratic po­litical process. Without values such as political tolerance, trust in democratic institutions, and respect for the rule of law pre­vailing, this can be severely destabilizing, particularly if it ig­nites or exacerbates economic, ethnic, religious, and other forms of tensions.

One of the tools to counter the lack of democratic socialization is civic education, which, by imparting the necessary skills and knowl­edge, helps promoting support for democratic behaviors and values among ordinary citizens.

With this in mind, PASSIA launched the project, providing training courses in civics and governance for young profession­als, with the aim to achieve a level of understanding and ac­ceptance of the rights and responsibilities among the citizens that is required for the maintenance and improvement of any constitutional democracy.

In a set of three seminars, the PASSIA civic education pro­ject sought to develop and empower groups of young profes­sionals to deal more effectively with the tasks ahead by en­hancing their civic knowledge , skills and norms. In addition to imparting basics such as the meaning of constitutional democracy, types of government, features of the political system, and the ability to identify public issues and influ­ence public policy decisions, the seminars focused on the issues of Citizenship, Human Rights, and Community Devel­opment.

This publications contains a selection of the lectures and pres­entation given during those three seminars.

Jerusalem , April 2006

Dr. Mahdi Abdul Hadi

Head of PASSIA




Dr. Mahdi Abdul Hadi


Introduction: Some Basic Ideas Related to Democratic Government

Dr. Gregory Mahler


Constitutional Democracy: Universal Principles

Dr. Gregory Mahler


Constitutional Democracy: Problems

Dr. Gregory Mahler


Democratic Institutions, Structures and Processes

Dr. Gregory Mahler


Constitutional Political Culture in the Middle East

Dr. Gregory Mahler


Constitutional Democracy - Principles and Problems

Dr. Ali Jarbawi


Constitutional Democracy as a Universal Concept and As a Political System of Governance

Dr. Ali Jarbawi


Citizens - Subjects or Metics / What is Citizenship?

Attached: calculated molecules.
{
  "formula": "C11H19FNO4S",
  "method": "wB97M-V/def2-TZVPD",
  "molar_mass_g_mol": 280.34,
  "spin_multiplicity": 1,
  "lumo_ev": 2.710,
  "homo_energy_ev": -3.3206,
  "charge": -1,
  "species": ["C", "C", "C", "F", "C", "S", "C", "C", "O", "O", "C", "C", "O", "H", "H", "H", "H", "H", "H", "H", "H", "H", "H", "H", "H", "C", "O", "N", "C", "C", "H", "H", "H", "H", "H", "H", "H"],
  "xyz": [[1.24483, 1.57320, -1.72484], [-0.05158, 0.82939, -2.40055], [-1.05282, 0.07423, -1.34553], [-0.42189, -0.23317, -0.01568], [-1.86620, -1.22286, -1.98514], [-3.48156, -1.24402, -0.96239], [-1.05701, -2.64163, -1.68872], [0.44315, -2.51353, -2.42128], [0.50348, -2.92278, -3.68605], [1.48348, -1.88934, -1.61310], [2.82486, -2.41659, -1.83220], [4.06317, -1.51281, -1.15847], [3.18813, -3.53973, -2.44734], [1.72840, 0.98068, -0.83722], [0.92767, 2.67845, -1.41509], [2.07750, 1.69701, -2.56990], [0.33058, 0.13457, -3.27954], [-0.70877, 1.67229, -2.93087], [-1.90901, 0.86698, -1.09279], [-3.10931, -1.41358, 0.40721], [-0.98699, -2.72883, -0.52099], [-1.69370, -3.53465, -2.15620], [4.08142, -0.41660, -1.62446], [5.10509, -2.04048, -1.23753], [3.71579, -1.34400, -0.02859], [-1.67933, 3.07860, 2.73484], [-1.20487, 3.52069, 1.69650], [-1.32881, 1.88583, 3.33073], [-1.93917, 1.43254, 4.56294], [-0.31787, 1.05839, 2.70570], [-2.45590, 3.62785, 3.29240], [-1.15949, 1.31221, 5.32065], [-2.42816, 0.47076, 4.38266], [-2.68131, 2.15051, 4.92261], [0.61275, 1.62883, 2.63095], [-0.64951, 0.79165, 1.69770], [-0.14701, 0.14993, 3.28957]],
  "forces_ev_per_a": [[0.1, 0.6, -0.8], [0.5, 0.2, -0.2], [-2.2, 0.1, -1.4], [-0.2, 0.5, -1.7], [1.1, 1.0, 2.3], [1.5, -0.6, 0.3], [0.2, 1.2, 0.2], [-3.0, -2.8, -5.2], [1.0, 2.9, 7.8], [2.1, -2.6, -2.2], [3.0, -3.9, -2.3], [-1.9, 0.8, 0.6], [-3.0, 6.7, 3.7], [-1.2, 1.2, -1.7], [0.8, -2.5, -0.3], [-1.7, -0.2, 1.8], [-0.9, 1.1, 2.0], [1.4, -1.9, 1.2], [2.0, -1.8, -0.3], [-0.2, 0.1, -1.3], [0.3, -0.2, -2.1], [1.9, 2.0, 0.9], [-0.1, -2.5, 0.8], [-2.4, 0.9, 0.0], [1.0, -0.4, -2.4], [0.6, -0.7, -0.2], [-0.2, -0.4, 0.9], [-0.6, 1.4, -0.2], [0.2, 0.0, -0.3], [0.0, 0.1, -0.4], [0.0, -0.1, 0.1], [-0.2, -0.1, 0.1], [0.0, 0.0, 0.2], [0.1, -0.1, -0.1], [0.0, -0.2, -0.1], [0.3, -0.1, 0.2], [-0.1, 0.2, 0.0]]
}

{
  "formula": "C52H57CaIN6O2PS2Si",
  "method": "wB97M-V/def2-TZVPD",
  "molar_mass_g_mol": 1088.24,
  "spin_multiplicity": 2,
  "lumo_ev": [-0.298, -0.298],
  "homo_energy_ev": [-5.9104, -5.9824],
  "de_lowest_kcal_mol": 15.4,
  "charge": 0,
  "s_squared": 0.75,

Dr. Said Zaidani


Religion and State from an Islamic Perspective

Dr. Mustafa Abu Sway


Civics, Government, and Citizenship - Case Studies: Citizens as an Influential Tool of Change

Terry Bullata


The Constitutional System of the Palestinian National Authority

Feras Milhem


Community Development Projects

Luna Shamieh


Community Development - A Case Study Presentation

Isam Akel



Annexes I: Selected Bibliography

Annex II: Lecture Programs